(Data)
11
Properties=species:S:1:pos:R:3:lowdin_charge:R:1 method="wB97M-V/def2-TZVPD" energy_ev=-18792.8125 largest_force_ha_per_bohr=0.067 lumo_ev="-2.053 / -2.052" de_lowest_kj_mol=519.7
C -0.311 -2.381 0.545 0.192
C -0.301 -1.203 0.205 -0.187
C -0.210 1.325 0.615 -0.105
C -0.523 0.119 -0.186 -0.682
O 1.710 0.411 -1.272 -0.308
Cl -1.531 0.154 -1.563 0.794
H -0.681 -3.277 0.920 0.031
H 0.022 2.235 -0.065 0.124
H 0.604 1.102 1.352 0.111
H -1.197 1.624 1.086 0.111
H 2.418 -0.110 -1.638 -0.082

----------

Here is a 2-piece molecular cluster, C9H10O4 overall from the OMol25 dataset. Energies are from ωB97M-V/def2-TZVPD.

Gap between HOMO and LUMO (spin up / spin down) in eV: 4.3458 / 4.3462
Lowest unoccupied orbital energy (spin up / spin down) in eV: 6.157 / 6.156
DFT total energy in hartree: -649.8205
Strongest force on any atom in eV Å⁻¹: 3.89
Net charge: -2
E_HOMO (spin up / spin down) in eV: 1.81 / 1.81
ΔE to the lowest compared entry with this formula, charge and spin in kJ/mol: 106.6

The geometry in XYZ format:
```
23
C9H10O4 ωB97M-V/def2-TZVPD
C 0.971 -1.521 1.141
C 0.380 -1.654 -0.101
C -2.211 -1.511 0.362
C -0.454 -0.428 -2.200
C 0.698 -0.106 1.509
C 0.089 -0.523 -0.822
C 0.490 0.607 0.120
C 1.747 1.289 -0.438
C -0.738 1.691 0.233
O -2.032 -2.620 0.697
O -0.584 0.732 -2.669
O -2.842 -0.493 0.285
O -0.794 -1.497 -2.777
H 0.889 -2.303 1.824
H 0.108 -2.626 -0.490
H -0.367 -0.007 2.066
H 1.350 0.431 2.196
H 2.728 0.701 -0.563
H 2.016 2.179 0.266
H 1.527 1.851 -1.277
H -0.892 1.953 -0.867
H -0.424 2.537 0.808
H -1.655 1.316 0.697
```

Want to see where the charge sits? The Löwdin charges in e are: number 1, C, carries -0.24; number 2, C, carries -0.21; number 3, C, carries -0.43; number 4, C, carries -0.73; number 5, C, carries -0.22; number 6, C, carries -0.18; number 7, C, carries -0.45; number 8, C, carries -0.08; number 9, C, carries -0.06; number 10, O, carries 0.12; number 11, O, carries -0.11; number 12, O, carries 0.09; number 13, O, carries -0.12; number 14, H, carries 0.02; number 15, H, carries 0.09; number 16, H, carries 0.11; number 17, H, carries 0.07; number 18, H, carries 0.09; number 19, H, carries 0.07; number 20, H, carries 0.02; number 21, H, carries 0.08; number 22, H, carries 0.02; number 23, H, carries 0.03


Here is C30H33BrN8O3S3SeYb as an isolated structure from the OMol25 dataset. Energies are from ωB97M-V/def2-TZVPD.

Gap between HOMO and LUMO (spin up / spin down) in eV: 6.5969 / 6.5993
Lowest unoccupied orbital energy (spin up / spin down) in eV: -3.109 / -3.107
DFT total energy in hartree: -9155.4261
Strongest force on any atom in eV Å⁻¹: 2.04
Net charge: +1
E_HOMO (spin up / spin down) in eV: -9.71 / -9.71
ΔE to the lowest compared entry with this formula, charge and spin in kJ/mol: 82.5
Spin multiplicity: 2

The geometry in XYZ format:
```
80
C30H33BrN8O3S3SeYb ωB97M-V/def2-TZVPD
Yb -0.052 1.189 -0.126
C -3.442 -1.349 2.334
C -2.364 -0.430 1.823
N -2.281 -0.047 0.594
N -3.144 -0.539 -0.321
C -3.125 -0.162 -1.634
N -3.894 -0.884 -2.468
S -2.321 1.185 -2.181
C -1.290 0.025 2.721
C -0.915 -0.724 3.837
C 0.172 -0.315 4.592
C 0.833 0.849 4.238
C 0.390 1.543 3.120
N -0.627 1.142 2.364
H -4.419 -0.993 2.003
H -3.456 -1.379 3.418
H -3.312 -2.370 1.968
H -3.729 -1.336 -0.066
H -4.293 -1.775 -2.219
H -3.902 -0.606 -3.435
H -1.417 -1.644 4.089
H 0.499 -0.897 5.440
H 1.683 1.202 4.799
H 0.875 2.468 2.821
C -1.732 -7.032 -1.497
C -1.082 -5.715 -1.223
C 0.110 -5.369 -1.854
C 0.726 -4.156 -1.599
C 0.143 -3.278 -0.707
C -1.037 -3.605 -0.065
C -1.644 -4.820 -0.318
S 0.782 -1.631 -0.459
O 2.212 -1.598 -0.662
O 0.299 -1.208 0.855
N 0.014 -0.687 -1.489
C 0.738 -0.191 -2.551
C 1.294 -0.987 -3.556
C 1.949 -0.373 -4.603
C 2.023 1.014 -4.638
C 1.459 1.728 -3.599
N 0.846 1.150 -2.564
H -1.600 -7.318 -2.536
H -2.795 -7.001 -1.272
H -1.278 -7.805 -0.876
H 0.555 -6.057 -2.555
H 1.657 -3.885 -2.073
H -1.438 -2.895 0.641
H -2.561 -5.083 0.188
H 1.186 -2.058 -3.501
H 2.383 -0.966 -5.393
H 2.508 1.518 -5.458
(Exercise)
Could you write out the whole of the block earlier on character by character?
(Here it is)
11
Properties=species:S:1:pos:R:3:lowdin_charge:R:1 method="wB97M-V/def2-TZVPD" energy_ev=-18792.8125 largest_force_ha_per_bohr=0.067 lumo_ev="-2.053 / -2.052" de_lowest_kj_mol=519.7
C -0.311 -2.381 0.545 0.192
C -0.301 -1.203 0.205 -0.187
C -0.210 1.325 0.615 -0.105
C -0.523 0.119 -0.186 -0.682
O 1.710 0.411 -1.272 -0.308
Cl -1.531 0.154 -1.563 0.794
H -0.681 -3.277 0.920 0.031
H 0.022 2.235 -0.065 0.124
H 0.604 1.102 1.352 0.111
H -1.197 1.624 1.086 0.111
H 2.418 -0.110 -1.638 -0.082

----------

Here is a 2-piece molecular cluster, C9H10O4 overall from the OMol25 dataset. Energies are from ωB97M-V/def2-TZVPD.

Gap between HOMO and LUMO (spin up / spin down) in eV: 4.3458 / 4.3462
Lowest unoccupied orbital energy (spin up / spin down) in eV: 6.157 / 6.156
DFT total energy in hartree: -649.8205
Strongest force on any atom in eV Å⁻¹: 3.89
Net charge: -2
E_HOMO (spin up / spin down) in eV: 1.81 / 1.81
ΔE to the lowest compared entry with this formula, charge and spin in kJ/mol: 106.6

The geometry in XYZ format:
```
23
C9H10O4 ωB97M-V/def2-TZVPD
C 0.971 -1.521 1.141
C 0.380 -1.654 -0.101
C -2.211 -1.511 0.362
C -0.454 -0.428 -2.200
C 0.698 -0.106 1.509
C 0.089 -0.523 -0.822
C 0.490 0.607 0.120
C 1.747 1.289 -0.438
C -0.738 1.691 0.233
O -2.032 -2.620 0.697
O -0.584 0.732 -2.669
O -2.842 -0.493 0.285
O -0.794 -1.497 -2.777
H 0.889 -2.303 1.824
H 0.108 -2.626 -0.490
H -0.367 -0.007 2.066
H 1.350 0.431 2.196
H 2.728 0.701 -0.563
H 2.016 2.179 0.266
H 1.527 1.851 -1.277
H -0.892 1.953 -0.867
H -0.424 2.537 0.808
H -1.655 1.316 0.697
```

Want to see where the charge sits? The Löwdin charges in e are: number 1, C, carries -0.24; number 2, C, carries -0.21; number 3, C, carries -0.43; number 4, C, carries -0.73; number 5, C, carries -0.22; number 6, C, carries -0.18; number 7, C, carries -0.45; number 8, C, carries -0.08; number 9, C, carries -0.06; number 10, O, carries 0.12; number 11, O, carries -0.11; number 12, O, carries 0.09; number 13, O, carries -0.12; number 14, H, carries 0.02; number 15, H, carries 0.09; number 16, H, carries 0.11; number 17, H, carries 0.07; number 18, H, carries 0.09; number 19, H, carries 0.07; number 20, H, carries 0.02; number 21, H, carries 0.08; number 22, H, carries 0.02; number 23, H, carries 0.03


Here is C30H33BrN8O3S3SeYb as an isolated structure from the OMol25 dataset. Energies are from ωB97M-V/def2-TZVPD.

Gap between HOMO and LUMO (spin up / spin down) in eV: 6.5969 / 6.5993
Lowest unoccupied orbital energy (spin up / spin down) in eV: -3.109 / -3.107
DFT total energy in hartree: -9155.4261
Strongest force on any atom in eV Å⁻¹: 2.04
Net charge: +1
E_HOMO (spin up / spin down) in eV: -9.71 / -9.71
ΔE to the lowest compared entry with this formula, charge and spin in kJ/mol: 82.5
Spin multiplicity: 2

The geometry in XYZ format:
```
80
C30H33BrN8O3S3SeYb ωB97M-V/def2-TZVPD
Yb -0.052 1.189 -0.126
C -3.442 -1.349 2.334
C -2.364 -0.430 1.823
N -2.281 -0.047 0.594
N -3.144 -0.539 -0.321
C -3.125 -0.162 -1.634
N -3.894 -0.884 -2.468
S -2.321 1.185 -2.181
C -1.290 0.025 2.721
C -0.915 -0.724 3.837
C 0.172 -0.315 4.592
C 0.833 0.849 4.238
C 0.390 1.543 3.120
N -0.627 1.142 2.364
H -4.419 -0.993 2.003
H -3.456 -1.379 3.418
H -3.312 -2.370 1.968
H -3.729 -1.336 -0.066
H -4.293 -1.775 -2.219
H -3.902 -0.606 -3.435
H -1.417 -1.644 4.089
H 0.499 -0.897 5.440
H 1.683 1.202 4.799
H 0.875 2.468 2.821
C -1.732 -7.032 -1.497
C -1.082 -5.715 -1.223
C 0.110 -5.369 -1.854
C 0.726 -4.156 -1.599
C 0.143 -3.278 -0.707
C -1.037 -3.605 -0.065
C -1.644 -4.820 -0.318
S 0.782 -1.631 -0.459
O 2.212 -1.598 -0.662
O 0.299 -1.208 0.855
N 0.014 -0.687 -1.489
C 0.738 -0.191 -2.551
C 1.294 -0.987 -3.556
C 1.949 -0.373 -4.603
C 2.023 1.014 -4.638
C 1.459 1.728 -3.599
N 0.846 1.150 -2.564
H -1.600 -7.318 -2.536
H -2.795 -7.001 -1.272
H -1.278 -7.805 -0.876
H 0.555 -6.057 -2.555
H 1.657 -3.885 -2.073
H -1.438 -2.895 0.641
H -2.561 -5.083 0.188
H 1.186 -2.058 -3.501
H 2.383 -0.966 -5.393
H 2.508 1.518 -5.458